
I spent several years in Europe, South America and Israel, and there are many cultural, linguistic and religious differences unique to each society. Baguettes in France, arepas in Venezuela, falafel in Israel, and of course the respective languages and cultures made for a fascinating experience.

But there was something else I began to notice upon visiting back home: the many, seemingly endless, police forces in the US. Every state, city, county, town and even village could have its own. There were the silver Scarsdale cars, the blue and white NYPD, the black fleet in Harrison, the large SUV's in Greenburgh, the dark blue State Police, and the list goes on and on. Each with their own color scheme and design.

While this might be the norm here, it's very uncommon - if not non existent -around the world. From the Police Nationale in France, to the Australian State Police, to the South African Police Service, law enforcement rarely descends below state level.

Unrelated to this page: data records
********
A relaxed structure of Nd3PO7. Source: the Materials Project database, functional r2SCAN.

Cell: 9.287 9.287 12.324 Å, 102.89 102.89 90.95°
Positions (direct):
P: 0.168 0.168 0.720
P: 0.828 0.828 0.288
P: 0.164 0.164 0.343
P: 0.836 0.836 0.927
P: 0.495 0.495 0.496
P: 0.499 0.499 0.872
O: 0.414 0.925 0.885
O: 0.436 0.889 0.552
O: 0.733 0.925 0.219
O: 0.065 0.065 0.614
O: 0.333 0.524 0.496
O: 0.930 0.738 0.996
O: 0.227 0.774 0.663
O: 0.720 0.720 0.317
O: 0.047 0.619 0.771
O: 0.924 0.924 0.399
O: 0.404 0.404 0.925
O: 0.774 0.227 0.663
O: 0.545 0.118 0.108
O: 0.738 0.930 0.996
O: 0.532 0.532 0.388
O: 0.616 0.044 0.444
O: 0.259 0.259 0.290
O: 0.925 0.414 0.885
O: 0.597 0.597 0.602
O: 0.411 0.905 0.219
O: 0.905 0.411 0.219
O: 0.139 0.330 0.719
O: 0.330 0.139 0.719
O: 0.249 0.738 0.330
O: 0.076 0.269 0.415
O: 0.740 0.740 0.816
O: 0.058 0.058 0.238
O: 0.738 0.249 0.330
O: 0.925 0.733 0.219
O: 0.269 0.076 0.415
O: 0.944 0.944 0.898
O: 0.133 0.133 0.829
O: 0.587 0.394 0.800
O: 0.889 0.436 0.552
O: 0.524 0.333 0.496
O: 0.118 0.545 0.108
O: 0.619 0.047 0.771
O: 0.253 0.758 0.996
O: 0.758 0.253 0.996
O: 0.044 0.616 0.444
O: 0.394 0.587 0.800
O: 0.605 0.605 0.976
Nd: 0.165 0.510 0.919
Nd: 0.856 0.169 0.496
Nd: 0.508 0.853 0.054
Nd: 0.499 0.808 0.380
Nd: 0.810 0.155 0.161
Nd: 0.808 0.499 0.380
Nd: 0.142 0.521 0.608
Nd: 0.855 0.164 0.836
Nd: 0.153 0.498 0.296
Nd: 0.164 0.855 0.836
Nd: 0.169 0.856 0.496
Nd: 0.807 0.494 0.720
Nd: 0.853 0.508 0.054
Nd: 0.494 0.807 0.720
Nd: 0.155 0.810 0.161
Nd: 0.521 0.142 0.608
Nd: 0.498 0.153 0.296
Nd: 0.510 0.165 0.919

Output
- calculated volume (A^3/atom) = 15.3
- magnetization (μB/atom) = 0.00
- calculated formation energy (eV per atom) = -3.4852
********

While this might seem like a trivial, bureaucratic difference in organizational structure, there's actually quite a meaningful lesson which I felt could be learned from this.

No, you're not reading 'Police Quarterly'; it's still the rabbi's Shabbat message. But Shabbat messages can be hiding in many unsuspecting places!

Records of crystals, kept here for reference:
____________
Compound: La4AsBrO8
Source: the Materials Project
Functional: PBE-GGA
Structure: relaxed

## Properties
The calculation puts the calculated density at 5.6 g/cm³. The magnetization is 0.0 Bohr magnetons per cell. The calculation puts the total DFT energy (no corrections) at -7.630 eV per atom. The formation energy comes out at -3.335 eV per atom. As for the crystal system: tetragonal.

Cell: 8.521 8.521 13.675 Å, 90.00 90.00 90.00°
Positions (direct):
La1 0.013 0.755 0.168
La2 0.013 0.755 0.832
La3 0.245 0.013 0.332
La4 0.245 0.013 0.668
La5 0.245 0.484 0.332
La6 0.245 0.484 0.668
La7 0.484 0.755 0.168
La8 0.484 0.755 0.832
La9 0.516 0.245 0.168
La10 0.516 0.245 0.832
La11 0.755 0.516 0.332
La12 0.755 0.516 0.668
La13 0.755 0.987 0.332
La14 0.755 0.987 0.668
La15 0.987 0.245 0.168
La16 0.987 0.245 0.832
As1 0.043 0.748 0.500
As2 0.252 0.043 0.000
As3 0.748 0.957 0.000
As4 0.957 0.252 0.500
Br1 0.253 0.555 0.000
Br2 0.445 0.253 0.500
Br3 0.555 0.747 0.500
Br4 0.747 0.445 0.000
O1 0.000 0.000 0.250
O2 0.000 0.000 0.750
O3 0.000 0.500 0.239
O4 0.000 0.500 0.761
O5 0.071 0.252 0.396
O6 0.071 0.252 0.604
O7 0.087 0.163 0.000
O8 0.163 0.584 0.500
O9 0.163 0.913 0.500
O10 0.250 0.743 0.270
O11 0.250 0.743 0.730
O12 0.252 0.929 0.104
O13 0.252 0.929 0.896
O14 0.257 0.250 0.230
O15 0.257 0.250 0.770
O16 0.416 0.163 0.000
O17 0.500 0.000 0.261
O18 0.500 0.000 0.739
O19 0.500 0.500 0.250
O20 0.500 0.500 0.750
O21 0.584 0.837 0.000
O22 0.743 0.750 0.230
O23 0.743 0.750 0.770
O24 0.748 0.071 0.104
O25 0.748 0.071 0.896
O26 0.750 0.257 0.270
O27 0.750 0.257 0.730
O28 0.837 0.087 0.500
O29 0.837 0.416 0.500
O30 0.913 0.837 0.000
O31 0.929 0.748 0.396
O32 0.929 0.748 0.604

=====

Compound: NaAs4BrO6
Source: the Materials Project
Functional: PBE-GGA
Structure: relaxed

## Properties
The calculation puts the calculated density at 3.9 g/cm³. The magnetization is 0.0 Bohr magnetons per cell. The calculation puts the total DFT energy (no corrections) at -5.558 eV per atom. The formation energy comes out at -1.628 eV per atom. As for the crystal system: orthorhombic.

Cell: 19.586 5.327 8.214 Å, 90.00 90.00 90.00°
Positions (direct):
Na1 0.057 0.250 0.101
Na2 0.443 0.750 0.601
Na3 0.557 0.250 0.399
Na4 0.943 0.750 0.899
As1 0.048 0.250 0.654
As2 0.115 0.750 0.837
As3 0.166 0.750 0.210
As4 0.178 0.250 0.408
As5 0.322 0.750 0.908
As6 0.334 0.250 0.710
As7 0.385 0.250 0.337
As8 0.452 0.750 0.154
As9 0.548 0.250 0.846
As10 0.615 0.750 0.663
As11 0.666 0.750 0.290
As12 0.678 0.250 0.092
As13 0.822 0.750 0.592
As14 0.834 0.250 0.790
As15 0.885 0.250 0.163
As16 0.952 0.750 0.346
Br1 0.218 0.250 0.004
Br2 0.282 0.750 0.504
Br3 0.718 0.250 0.496
Br4 0.782 0.750 0.996
O1 0.049 0.502 0.807
O2 0.049 0.998 0.807
O3 0.096 0.750 0.054
O4 0.122 0.002 0.323
O5 0.122 0.498 0.323
O6 0.139 0.250 0.611
O7 0.361 0.750 0.111
O8 0.378 0.502 0.823
O9 0.378 0.998 0.823
O10 0.404 0.250 0.554
O11 0.451 0.002 0.307
O12 0.451 0.498 0.307
O13 0.549 0.502 0.693
O14 0.549 0.998 0.693
____________
So much for the records of crystals:

In this week's Torah portion we read of Jacob - the third and final patriarch of the Jewish people - blessing his children before he passed away in ancient Egypt. His children, the twelve tribes of the Jewish people, would forever more be defining entities by which Jews would characterize themselves. To this day it is customary to give a member of the tribe of Levi the first Aliyah at a Torah reading.

Although the Jews matured into a full fledged people numbering in the millions, the unique distinction between those twelve tribes was never forgotten. When the they later settled in the Land of Israel, instead of opting for a strictly national entity, they became the very first 'United States', with the country being comprised of twelve independent states - for the twelve tribes.

At the heart of this system is the recognition of the G‑dly spark, the Neshama, which resides in each individual. Not in every country, state or even community, but in every individual person. It is around that infinite value within each of us which the entirety of Judaism revolves. And it is for that reason that the Jewish communal structure was purposefully kept as close to the individual as possible.

We are meant to learn something from everyone and everything in life, and police cars are no different. They can remind us of the importance of the individual human being and the good that they can bring forth. It's our job to do our best to help every person find that G‑dly spark within themselves, and make it shine bright.

Between two parts of the text: data records:
=====
[1]
A plane-wave DFT calculation with PBE was carried out for a geometry-optimized K12Sn4Au21 structure.

Properties
DFT formation energy	-0.346	eV/atom
M_tot	0.1	μB/f.u.
E_tot	-2.998	eV/atom
calculated volume	2050.9	Å³/cell

Cell: 12.846 18.669 8.552 Å, 90.00 90.00 90.00°
Atoms (fractional coordinates):
K: 0.002 0.250 0.172
K: 0.008 0.081 0.896
K: 0.008 0.419 0.896
K: 0.250 0.074 0.674
K: 0.250 0.250 0.460
K: 0.250 0.426 0.674
K: 0.250 0.588 0.379
K: 0.250 0.750 0.612
K: 0.250 0.912 0.379
K: 0.492 0.081 0.896
K: 0.492 0.419 0.896
K: 0.498 0.250 0.172
K: 0.502 0.750 0.828
K: 0.508 0.581 0.104
K: 0.508 0.919 0.104
K: 0.750 0.088 0.621
K: 0.750 0.250 0.388
K: 0.750 0.412 0.621
K: 0.750 0.574 0.326
K: 0.750 0.750 0.540
K: 0.750 0.926 0.326
K: 0.992 0.581 0.104
K: 0.992 0.919 0.104
K: 0.998 0.750 0.828
Sn: 0.057 0.750 0.258
Sn: 0.250 0.616 0.932
Sn: 0.250 0.884 0.932
Sn: 0.443 0.750 0.258
Sn: 0.557 0.250 0.742
Sn: 0.750 0.116 0.068
Sn: 0.750 0.384 0.068
Sn: 0.943 0.250 0.742
Au: 0.000 0.000 0.500
Au: 0.000 0.500 0.500
Au: 0.001 0.151 0.528
Au: 0.001 0.349 0.528
Au: 0.092 0.586 0.735
Au: 0.092 0.914 0.735
Au: 0.135 0.084 0.307
Au: 0.135 0.416 0.307
Au: 0.141 0.250 0.851
Au: 0.250 0.015 0.068
Au: 0.250 0.167 0.080
Au: 0.250 0.333 0.080
Au: 0.250 0.485 0.068
Au: 0.250 0.750 0.102
Au: 0.359 0.250 0.851
Au: 0.365 0.084 0.307
Au: 0.365 0.416 0.307
Au: 0.408 0.586 0.735
Au: 0.408 0.914 0.735
Au: 0.499 0.151 0.528
Au: 0.499 0.349 0.528
Au: 0.500 0.000 0.500
Au: 0.500 0.500 0.500
Au: 0.501 0.651 0.472
Au: 0.501 0.849 0.472
Au: 0.592 0.086 0.265
Au: 0.592 0.414 0.265
Au: 0.635 0.584 0.693
Au: 0.635 0.916 0.693
Au: 0.641 0.750 0.149
Au: 0.750 0.250 0.898
Au: 0.750 0.515 0.932
Au: 0.750 0.667 0.920
Au: 0.750 0.833 0.920
Au: 0.750 0.985 0.932
Au: 0.859 0.750 0.149
Au: 0.865 0.584 0.693
Au: 0.865 0.916 0.693
Au: 0.908 0.086 0.265
Au: 0.908 0.414 0.265
Au: 0.999 0.651 0.472
Au: 0.999 0.849 0.472

[2]
A plane-wave DFT calculation with PBE was carried out for a geometry-optimized KSn6Au4 structure.

Properties
DFT formation energy	-0.238	eV/atom
E_tot	-3.717	eV/atom
calculated volume	565.2	Å³/cell

Cell: 13.396 13.149 6.793 Å, 77.19 73.17 29.64°
Atoms (fractional coordinates):
K: 0.125 0.125 0.125
K: 0.875 0.875 0.875
Sn: 0.010 0.508 0.743
Sn: 0.229 0.521 0.229
Sn: 0.238 0.743 0.508
Sn: 0.257 0.762 0.990
Sn: 0.479 0.771 0.479
Sn: 0.492 0.990 0.762
Sn: 0.508 0.010 0.238
Sn: 0.521 0.229 0.521
Sn: 0.743 0.238 0.010
Sn: 0.762 0.257 0.492
Sn: 0.771 0.479 0.771
Sn: 0.990 0.492 0.257
Au: 0.068 0.068 0.682
Au: 0.187 0.187 0.563
Au: 0.318 0.318 0.932
Au: 0.437 0.437 0.813
Au: 0.563 0.563 0.187
Au: 0.682 0.682 0.068
Au: 0.813 0.813 0.437
Au: 0.932 0.932 0.318

[3]
A plane-wave DFT calculation with PBE was carried out for a geometry-optimized LaAu structure.

Properties
DFT formation energy	-0.820	eV/atom
E_tot	-4.925	eV/atom
calculated volume	224.0	Å³/cell

Cell: 7.592 4.896 6.027 Å, 90.00 90.00 90.00°
Atoms (fractional coordinates):
La: 0.184 0.250 0.146
=====

Rabbi Avrohom